Registered: 01/23/08
Posts: 1361
Loc: West Springfield, MA
Nicely done gents! Wish I could have made it!
Originally Posted By: O-BASS
Originally Posted By: Paul D.
There is more grey hair in most of those shots than there has been pike caught in the history of the fest . We need to recruit some younger (less grey) blood into the fold or our sport will fade away before the attendance runs totally dry.
im happy you brought this up. thats been a hot topic on my boat all year...
we need new members under the age of 30 on CTF overall. ive been the youngest guy at every event ive attended since the banquet back in january.... banquet, game dinner, swap, mudge tourny, toilet bowl, blackfish bash...
while that was apropriate 10 years ago when i first joined, now at 33, its kind of odd... other than Joey, do we have any regular member under 30?
nice fish Bob!
Don't worry guys, the "Boy" will be ready next year
Thanks to Paul and Mitch and all the organizers for getting this together. Congrats to the winners. Lot's of laughs, great food, and good fishing talk at after the fishing. We managed only one pike in our boat and it was not me. I'll let Riverroamer post his picture. I got a bass and we took a picture of team slapshot showing off the Hansen brother numbers. Hope to catch this event next year.
What a GREAT time!! Congrats to TheRealIceman... Way to Go. here's some pics and the crowning of the new champion video. As always, can't wait for next year. Met some new members, good fishing stories and laughs.
== The page is interrupted by data records ==
-- begin --
[1]
ScSiW: relaxed, PBE.

**Total moment**: 0.000 μB per atom
**E_form (uncorrected)**: -0.492 eV/atom

Unit cell a=3.821 b=3.821 c=14.317 alpha=90.00 beta=90.00 gamma=90.00
Fractional coordinates of all 12 atoms:
1 Sc 0.000 0.000 0.173
2 Sc 0.000 0.000 0.827
3 Sc 0.500 0.500 0.327
4 Sc 0.500 0.500 0.673
5 Si 0.000 0.000 0.369
6 Si 0.000 0.000 0.631
7 Si 0.500 0.500 0.131
8 Si 0.500 0.500 0.869
9 W 0.000 0.500 0.000
10 W 0.000 0.500 0.500
11 W 0.500 0.000 0.000
12 W 0.500 0.000 0.500

***

[2]
Sc2SiW: relaxed, PBE.

**Total moment**: 0.000 μB per atom
**E_form (uncorrected)**: -0.148 eV/atom

Unit cell a=3.028 b=3.769 c=6.265 alpha=90.00 beta=90.00 gamma=90.00
Fractional coordinates of all 4 atoms:
1 Sc 0.000 0.000 0.242
2 Sc 0.000 0.000 0.758
3 Si 0.500 0.500 0.000
4 W 0.500 0.500 0.500

***

[3]
ScSiW2: relaxed, PBE.

**Total moment**: 0.000 μB per atom
**E_form (uncorrected)**: 0.273 eV/atom

Unit cell a=5.493 b=8.599 c=2.759 alpha=90.00 beta=90.00 gamma=90.00
Fractional coordinates of all 8 atoms:
1 Sc 0.000 0.000 0.000
2 Sc 0.500 0.500 0.000
3 Si 0.000 0.500 0.000
4 Si 0.500 0.000 0.000
5 W 0.250 0.250 0.500
6 W 0.250 0.750 0.500
7 W 0.750 0.250 0.500
8 W 0.750 0.750 0.500

***

[4]
Sc2SiW: relaxed, PBE.

**Total moment**: 0.000 μB per atom
**E_form (uncorrected)**: -0.076 eV/atom

Unit cell a=4.063 b=4.063 c=8.605 alpha=90.00 beta=90.00 gamma=90.00
Fractional coordinates of all 8 atoms:
1 Sc 0.000 0.000 0.000
2 Sc 0.000 0.500 0.250
3 Sc 0.500 0.000 0.750
4 Sc 0.500 0.500 0.500
5 Si 0.000 0.500 0.750
6 Si 0.500 0.000 0.250
7 W 0.000 0.000 0.500
8 W 0.500 0.500 0.000

***

[5]
Sc2Si2W: relaxed, PBE.

**Total moment**: 0.000 μB per atom
**E_form (uncorrected)**: -0.605 eV/atom

Unit cell a=6.684 b=6.684 c=3.830 alpha=90.00 beta=90.00 gamma=90.00
Fractional coordinates of all 10 atoms:
1 Sc 0.176 0.324 0.000
2 Sc 0.324 0.824 0.000
3 Sc 0.676 0.176 0.000
4 Sc 0.824 0.676 0.000
5 Si 0.129 0.629 0.500
6 Si 0.371 0.129 0.500
7 Si 0.629 0.871 0.500
8 Si 0.871 0.371 0.500
9 W 0.000 0.000 0.500
10 W 0.500 0.500 0.500

***

[6]
ScSiW2: relaxed, PBE.

**Total moment**: 0.000 μB per atom
**E_form (uncorrected)**: 0.300 eV/atom

Unit cell a=2.985 b=2.985 c=26.082 alpha=90.00 beta=90.00 gamma=120.00
Fractional coordinates of all 12 atoms:
1 Sc 0.000 0.000 0.000
2 Sc 0.333 0.667 0.667
3 Sc 0.667 0.333 0.333
4 Si 0.000 0.000 0.500
5 Si 0.333 0.667 0.167
6 Si 0.667 0.333 0.833
7 W 0.000 0.000 0.241
8 W 0.000 0.000 0.759
9 W 0.333 0.667 0.425
10 W 0.333 0.667 0.908
11 W 0.667 0.333 0.092
12 W 0.667 0.333 0.575

***

[7]
ScSiW2: relaxed, PBE.

**Total moment**: 0.000 μB per atom
**E_form (uncorrected)**: 0.142 eV/atom

Unit cell a=3.079 b=3.079 c=25.241 alpha=90.00 beta=90.00 gamma=120.00
Fractional coordinates of all 12 atoms:
1 Sc 0.000 0.000 0.000
2 Sc 0.333 0.667 0.667
3 Sc 0.667 0.333 0.333
4 Si 0.000 0.000 0.756
5 Si 0.333 0.667 0.423
6 Si 0.667 0.333 0.090
7 W 0.000 0.000 0.243
8 W 0.000 0.000 0.497
9 W 0.333 0.667 0.164
10 W 0.333 0.667 0.910
-- stop --
Paul D, that is my original prop that I've fixed numerous times ! That darn rock pike in the creek to Chapmans ! Anyway, this year I had a very good photographer/net boy. Team LaBatts ! Great time, like we always do on Game Day ! Don't listen to him telling you I backboated him the whole day ! The stars were aligned over my head this year for once ! We started eeearly in the am at the launch, Jack brought his remote controlled spot light at the bow of my boat (freakin sweat ! ) we got to our destination and still had to wait for the sun to come up.
After casting and soaking pondies for less than 30 minutes I boat this one
30.5" and on the board ! Long time coming for me ! Jack did a superb net job , THANK YOU ! Not much action in this area, we moved and found these 2 Kayakers Jeff Tree_Bass and Largefry. These were taken roughly 100 yards away, excuse the quality. We moved to spot 2, nada void of any Esox, only 2 bozos fishing for crappie Spot 3, Jack was twitching because he didn't even get to troll yet, so into Chapmans we go !
Jack smiling ear to ear Well, this year, we didn't even get a bump trolling, so we hit some spots casting. I had a NICE follow (knee buckler)on a big spinner bait, another follow on my PIG, and finally hook up with this 3rd placer, 31.5"
Chapmans was VERY low, we saw Paul D and Den go in with ease
Here is Team Stuck and turn around
We saw Tim P and Jeff get to the low part, and he wanted nothing to do with it, so turned around. A bass boat had made it in there, fished for a while, then next thing you know, he GUNNNED it full plane over the sandbar to get out ! Impressive sight! Wish I had the camera for that one !! What a great after festivities we had ! Food was awesome,good to see some old friends, and we all left before dark !
the guy you saw in the Nitro Z9 bassboat was Justin Tralli. The guy is an animal. He'll drive over anything. Its pretty crazy what he does with that giant boat.